Smallpox vaccine is a sterilising vaccine: you become immune to smallpox.  That's why there is no smallpox in the world, thanks to the magnificent work of the WHO.  

The flu vaccine with the inactivated virus is not  sterilizing because it doesn’t generate local immune response in the respiratory tract.  The influenza virus can infect and move between multiple species, enabling it to constantly change in ways that make it hard for our immune system to recognize. They knew it.  

China killed the Wuhan strain in five weeks, with general masking, two weeks in field hospitals for all positives, and no national lockdown.  In the West we refused to learn from China's experience.   We chose nation-wide lockdown, house arrest for the entire population, especially children.  No children in the streets during lockdowns, they were obedience-trained.  We were too.

We refused the treatments used by doctors that cured covid since February 2020. treatment.  Actually, we criminalised treatment.  Our managers refused to wipe out the illness in 2020, in order to use Covid-19 for profit and for their social control long term projects.



The vaccine does not save us from covid.  We were ordered to take the vaccine in order to be free to travel, without masks.  Now, at NBC, they are cheering, beautiful news: "Vaccinated people are less likely to spread Covid."  Why should they? Did we hear right?  Yes, that's how much territory they lost, they are arguing that vaccinated patients are not super spreaders.. "Both vaccines reduced transmission, although they were more effective against the alpha variant compared to the delta variant."

"The department was asked to break down the numbers from before and after vaccinations were introduced, but it didn't." 
It appears that Canada's Ministry of Health prefers to obfuscate events around the epidemic.  Could it be that they want to hide some current unpleasant data, hiding them inside the data for the preceding 18 months?   If the latest data were not so bad, the Ministry would not try to hide them.  People who were vaccinated are dying in large numbers.
Yahoo news then analysed the data they already had: 76.6% of residents of New Brunswick are double vaccinated.   Out of the province's first 84 covid deaths, 17 -- or 20 per cent-- were fully vaccinated.  However, by May 18, when the vaccine became available to all adults, 42 people had already died.  That leaves 42, who died after May 18.  Of them, 17 were vaccinated, about half.  
As we can see below, in some countries,  the ministry of health will not go as far as faking statistics.  When that power is available, the regime may use the three-card monte method, in support of  Pharma profits, tricking people into taking the jab.

 Reports from Israel on vaccine effectiveness are very reliable, and paint a depressing picture: on the first line of the diagram above, we see that in the 20-29 cohort, 79% were vaccinated, and 78% of the cases were found among the vaccinated.  

If the jab had been 100% effective, none of the vaccinated would have contracted covid.  If the jab had worked at 50% efficiency,  only about 40% of the vaccinated would have contracted covid.  The vaccine seems to be less than 50% effective, it seems to have minimal effect.  In the 20-29 cohort,  It protects 1 person in 100 from covid, and 3 in 100 in the 50-59 cohort.  In the 70-79 cohort it has no effect whatsoever.   Now, statistics show that covid cases are more frequent among certain vaccinated groups 



However, the statistics released in August, seem to show a negative effect in some age cohorts: the illness is found more often among the vaccinated; only those older than 80 years old gain some marginal level of safety from the jab.  



How can we explain the July4-july 31 figures?  In the 20-29 cohort, there is a 5% discrepancy, the vaccinated are getting sick at higher rates than the unvaccinated.

Dr. Shankara Chetty, who practices at the Medical center in Port Edward, KwaZulu-Natal, South Africa, was interviewed by Dr. Mobeen Syed, who at 23' 53" in the YouTube program, asked:






Breakthrough infection

From Wikipedia, the free encyclopedia.   October 18, 2021

Breakthrough COVID-19[edit].   

In April 2021, scientists reported that in a cohort of 417 vaccinated persons two women had vaccine breakthrough infections as of publication and identify their variants' viral mutations.[16][17]

In the same month, the CDC reported that in the United States there were 5,814 COVID-19 breakthrough infections, and 74 deaths among the more than 75 million people fully vaccinated for the COVID-19 virus.[18][19][20][21][22][23]

In July 2021, scientists reported that in an outbreak of the SARS-CoV-2 Delta variant, associated with large public gatherings, 74% of infections occurred in fully vaccinated people,[24][25] which may be inconsistent with findings that show current vaccines to be highly effective[26][27][28] against all "Delta" variants.




2 cases in 417 subjects indicates 0.1% breakthroughs. Over one year or over a month?

5814 in 75,000,000 in April 2021, indicates 0.008% x12 months, or about 0.1% breakthroughs per year.

Third example presents a 74% failure rate. 

Wikipedia does not seem to even attempt to explain the difference between 0.1% and 74% breakthroughs.  

Yet, even a low percentage of breakthroughs, means that there will be enough materiel from which variants resistant to vaccine may develop. 

If there had been any interest in causing SARS-CoV2 to go extinct, we would have allowed cheap repurposed drugs to do it, in 2020.


What we are watching now is a campaign to vaccinate everyone in the West and to thus tax Western nations into enriching the oligarchs and their parasitical politicians.  They know that distribution of a non-sterilizing vaccine, in the middle of a pandemic, cannot have any result other than persistence of the epidemic, with eventual new worse variants.. To achieve virus extinction a world-wide campaign is needed, run by international organisations, with a sterilizing vaccine, like the one that the WHO used to organize the extinction of smallpox.

== Calculated molecules that have nothing to do with the page ==
/*
(1)
Formula: C10H35KMnO10
Source: the Open Molecules 2025 dataset
Level of theory: ωB97M-V/def2-TZVPD

## Properties
**Kohn-Sham gap (alpha / beta)**: 6.51 / 2.47 eV
**Spin multiplicity**: 7
**Expectation value of S²**: 12.009
**Charge**: +3

Each line ends with the natural charge from an NBO analysis.
Element x y z (Å)
Mn 0.149 -3.349 1.372  1.74
K 3.943 -1.157 1.771  0.98
C -0.216 0.805 0.627  -0.72
C 0.069 -0.712 0.656  0.81
O 1.047 -1.240 1.235  -0.85
O -0.741 -1.509 0.171  -0.80
H -1.274 0.963 0.835  0.23
H 0.046 1.367 -0.269  0.25
H 0.368 1.221 1.447  0.25
C 0.839 -1.288 -3.004  -0.28
O 1.735 -2.245 -2.520  -0.77
H -0.169 -1.566 -2.698  0.21
H 1.055 -0.246 -2.765  0.16
H 0.886 -1.270 -4.093  0.21
H 2.561 -2.113 -2.991  0.51
C 3.527 0.767 -1.294  -0.26
O 3.535 -0.617 -1.008  -0.78
H 4.276 1.293 -0.701  0.20
H 3.657 1.016 -2.347  0.19
H 2.604 1.288 -1.043  0.15
H 2.798 -1.116 -1.368  0.49
C -0.404 4.199 -2.519  -0.29
O 0.469 4.997 -1.773  -0.37
H -0.137 3.161 -2.321  0.19
H -1.444 4.248 -2.194  0.26
H -0.290 4.346 -3.593  0.27
H 0.337 5.938 -1.908  0.52
C -4.169 1.634 -0.441  -0.29
O -4.388 2.434 0.780  -0.47
H -3.175 1.189 -0.499  0.20
H -4.798 0.747 -0.511  0.24
H -4.423 2.149 -1.367  0.23
H -4.234 1.861 1.535  0.49
C -0.680 0.776 4.136  -0.24
O 0.521 1.074 4.790  -0.74
H -1.530 0.663 4.808  0.20
H -0.824 1.625 3.468  0.16
H -0.601 -0.110 3.506  0.15
H 0.453 1.926 5.227  0.50
C 0.316 -5.171 -1.350  -0.27
O 0.523 -3.955 -0.620  -0.86
H 1.240 -5.742 -1.436  0.21
H -0.471 -5.761 -0.879  0.20
H -0.079 -4.917 -2.334  0.22
H 0.799 -3.323 -1.288  0.55
C 3.341 1.928 3.716  -0.27
O 2.739 0.864 3.048  -0.80
H 4.358 2.139 3.384  0.20
H 2.811 2.879 3.655  0.17
H 3.298 1.707 4.782  0.19
H 1.852 0.828 3.412  0.50
C -4.021 -2.545 -1.196  -0.25
O -2.795 -2.137 -1.777  -0.73
H -4.658 -2.982 -1.965  0.21
H -3.845 -3.330 -0.461  0.16
H -4.574 -1.701 -0.783  0.15
H -2.213 -1.928 -1.042  0.47

---

(2)
Formula: H4S2
Source: the Open Molecules 2025 dataset
Level of theory: ωB97M-V/def2-TZVPD

## Properties
**Kohn-Sham gap**: 9.88 eV
**Spin multiplicity**: 1
**Relative energy (zero: lowest compared OMol25 entry of this formula, charge and spin)**: 80.41 kJ/mol

Each line ends with the natural charge from an NBO analysis.
Element x y z (Å)
S -0.269 -1.136 0.940  -0.33
H 0.391 -0.813 -0.188  0.16
H -1.267 -1.719 0.250  0.15
S 0.218 1.102 -0.922  -0.29
H 1.321 1.615 -0.347  0.15
H -0.395 0.951 0.266  0.16

---

spin multiplicity of number 2 (H4S2)?
1

---

Which of these has the highest spin multiplicity?
C10H35KMnO10

---

What is the formula in the second record?
H4S2


142
Properties=species:S:1:pos:R:3:lowdin_charge:R:1 method="wB97M-V/def2-TZVPD" de_lowest_kcal_mol=18.8 charge=-1 multiplicity=1
As -0.060 0.449 -0.036 0.77
F -0.727 -0.397 1.353 -0.26
F -1.477 0.210 -1.005 -0.24
F 0.865 1.195 -1.300 -0.24
F 1.335 0.711 1.007 -0.26
F 0.651 -1.060 -0.564 -0.25
F -0.807 1.921 0.496 -0.23
O -7.678 3.746 -0.616 -0.29
S -6.431 4.425 -0.377 0.58
*/

 However, according to the Provincetown Town Manager, by July 28, the total number of cases associated with the Provincetown cluster had risen to 833, of which only 7 were hospitalized (5 in MA and 2 in other states) and there had been no deaths associated with the outbreak, underscoring that the vaccines were highly effective at preventing hospitalization and death.[29]


Again, we are facing a different situation with the Delta variant.  The vaccine does not seem to be effective.  Crowing over "only seven hospitalisations" seems silly if you consider the cost of the no cure/lockdown/wait for vaccine program: in lives destroyed, in madness, in suicide, in drug addiction, in family businesses dreams crushed, when that "only seven" is worse than what Dr. Zelenko in New York or Dr. Fareed in California achieved and other MS's with simple competent medical care in the spring of 2020.  And that was before ivermectin and quercetin were added to their protocols.

Especially when you consider that many may suffer for years.  The malefic effects of the vaccine do not always appear at once; moreover, the walking wounded are always rejected by a malevolent  Pharma-controlled medical system--a certain fact this, when we have seen that even the paralysed kids are rejected.  For confirmation of that, see the story of Maddie de Garay, a twelve-year-old brilliant student whose fault was to believe her government would not place her in danger recklessly; so she volunteered for the trials. 

You can see a video of her and her mother under the heading " Johnson, Senator Ron."

In first aid and triage, the walking wounded are injured persons who are of a relatively low priority. These patients are conscious and breathing and will often have only relatively minor injuries; thus they are capable of walking.